Unlock Your Team's Potential with Facilitative Leadership
# SrCrB12
Computed powder XRD pattern, CuKα. Input: a DFT-relaxed cell (PBE, Alexandria).

Largest 10 diffraction maxima, most intense first, 10 to 90 degrees two-theta:
2theta	I_rel
30.4	100
37.5	45
49.0	44
21.4	29
67.6	29
54.0	16
43.5	16
71.8	14
87.9	9
43.6	8

Structural model:
```
data_SrCrB12
_chemical_formula_sum 'Sr1 Cr1 B12'
_space_group_name_H-M_alt 'P 4/m m m'
_space_group_IT_number 123
_space_group_name_Hall '-P 4 2'
_cell_length_a 4.1593
_cell_length_b 4.1593
_cell_length_c 8.3003
_cell_angle_alpha 90.00
_cell_angle_beta 90.00
_cell_angle_gamma 90.00
loop_
_atom_site_label
_atom_site_type_symbol
_atom_site_fract_x
_atom_site_fract_y
_atom_site_fract_z
_atom_site_occupancy
Sr1 Sr 0.0000 0.0000 0.0000 1
Cr1 Cr 0.0000 0.0000 0.5000 1
B1 B 0.2006 0.5000 0.2532 1
B2 B 0.5000 0.5000 0.1019 1
B3 B 0.5000 0.5000 0.4013 1
```


# U2PaGa
Computed powder XRD pattern, CuKα. Input: a DFT-relaxed cell (PBE, Alexandria).

Largest 10 diffraction maxima, most intense first, 10 to 90 degrees two-theta:
2theta	I_rel
35.6	100
42.1	32
72.7	26
59.2	24
39.6	19
69.3	15
75.3	12
61.0	11
20.7	8
28.6	7

Structural model:
```
data_U2PaGa
_chemical_formula_sum 'U2 Pa1 Ga1'
_space_group_name_H-M_alt 'P 4/m m m'
_space_group_IT_number 123
_space_group_name_Hall '-P 4 2'
_cell_length_a 4.2945
_cell_length_b 4.2945
_cell_length_c 4.5465
_cell_angle_alpha 90.00
_cell_angle_beta 90.00
_cell_angle_gamma 90.00
loop_
_atom_site_label
_atom_site_type_symbol
_atom_site_fract_x
_atom_site_fract_y
_atom_site_fract_z
_atom_site_occupancy
U1 U 0.0000 0.5000 0.0000 1
Pa1 Pa 0.0000 0.0000 0.5000 1
Ga1 Ga 0.5000 0.5000 0.5000 1
```


# Ac5LaPr6
Computed powder XRD pattern, CuKα. Input: a DFT-relaxed cell (PBE, Alexandria).

Largest 10 diffraction maxima, most intense first, 10 to 90 degrees two-theta:
2theta	I_rel
28.5	100
32.7	18
32.9	17
33.6	16
55.9	16
56.1	15
57.0	15
59.1	13
47.1	13
47.6	12

Structural model:
```
data_Ac5LaPr6
_chemical_formula_sum 'Ac10 La2 Pr12'
_space_group_name_H-M_alt 'I m m m'
_space_group_IT_number 71
_space_group_name_Hall '-I 2 2'
_cell_length_a 5.4737
_cell_length_b 10.6743
_cell_length_c 16.3390
_cell_angle_alpha 90.00
_cell_angle_beta 90.00
_cell_angle_gamma 90.00
loop_
_atom_site_label
_atom_site_type_symbol
_atom_site_fract_x
_atom_site_fract_y
_atom_site_fract_z
_atom_site_occupancy
Ac1 Ac 0.0000 0.0000 0.0000 1
Ac2 Ac 0.0000 0.0000 0.3354 1
Ac3 Ac 0.0000 0.5000 0.3333 1
La1 La 0.0000 0.5000 0.0000 1
Pr1 Pr 0.0000 0.2473 0.5000 1
Pr2 Pr 0.0000 0.2516 0.1657 1
```


# Rb2Zn2Pt
Computed powder XRD pattern, CuKα. Input: a DFT-relaxed cell (PBE, Alexandria).

Largest 10 diffraction maxima, most intense first, 10 to 90 degrees two-theta:
2theta	I_rel
23.2	100
32.0	91
29.9	78
51.0	53
40.3	52
29.4	42
35.9	41
14.8	40
17.7	40
47.4	37

Structural model:
```
data_Rb2Zn2Pt
_chemical_formula_sum 'Rb4 Zn4 Pt2'
_space_group_name_H-M_alt 'P 4/m b m'
_space_group_IT_number 127
_space_group_name_Hall '-P 4 2ab'
_cell_length_a 7.0732
_cell_length_b 7.0732
# The crystal structures stop here
As we find ourselves more and more reliant on digital spaces and tools, we must remember that people are our most valuable resource, and collaboration is the key to solving the challenges of yesterday, and the ones that lay ahead. Diversity, equity, and inclusion are not just outcomes to achieve, but the process to follow for effective collaboration in this hyper connected and chaotic world.
To bridge the gap - from the current way things get done to the more collaborative ways to get things done - we need new models of leadership that are not unilateral but multipolar. Leadership is one of those words that means a lot of different things to a lot of different people. For the sake of today’s newsletter, let’s understand “Leadership” to be a skill that anyone can hold and share.
Facilitative Leadership is the skill set of unlocking the personal and positional power of the individuals on your team to enhance the group's capacity to generate a sum greater than the parts of the whole. Given the amazing diversity we have in our organizations today (e.g. age, gender, race, neurology) we’ve never been better positioned to generate group genius and drive results. To realize this potential, we are being asked to evolve to a leadership model that is more facilitative than directive.
Evolving your leadership style is more facilitative than directive isn’t simply a good practice to cultivate a healthy workplace dynamic - it’s becoming a more and more needed practice to meet the problems we are focused on solving. As discussed in previous newsletters, the types of problems we face today are adaptive problems (see: Whack-a-mole), and thus require collective, and sustained efforts to solve. Adaptive problems require new approaches and strategies. Facilitative leaders use participatory processes to support groups in exercising their individual and collective creativity, while building trust and alignment.
Entry 1:
This entry pairs a crystal structure of Tb6HoCd5 with its theoretical powder diffraction line list. Radiation: Cu Kα (weighted mean of Kα1 and Kα2). Structure: DFT lattice parameters and positions (GGA-PBE).
Neutral-atom scattering factors, no anomalous dispersion.

Crystal structure
```
Tb6HoCd5
1.0
-2.6322 3.8955 7.9996
2.6322 -3.8955 7.9996
2.6322 3.8955 -7.9996
Tb Ho Cd
6 1 5
Direct
0.0737 0.3293 0.7444 Tb
0.2312 0.0000 0.2312 Tb
0.4151 0.6707 0.7444 Tb
0.5849 0.3293 0.2556 Tb
0.7688 0.0000 0.7688 Tb
0.9263 0.6707 0.2556 Tb
0.5000 0.5000 0.0000 Ho
0.0000 0.5000 0.5000 Cd
0.1691 0.1691 0.0000 Cd
0.3469 0.8469 0.5000 Cd
0.6531 0.1531 0.5000 Cd
0.8309 0.8309 0.0000 Cd
```

Largest 12 diffraction maxima, low angle first, 15° ≤ 2θ ≤ 90°:
- 2θ = 33.18°, I = 1000
- 2θ = 33.61°, I = 236
- 2θ = 34.06°, I = 239
- 2θ = 46.63°, I = 94
- 2θ = 48.60°, I = 166
- 2θ = 58.70°, I = 91
- 2θ = 58.99°, I = 92
- 2θ = 59.82°, I = 165
- 2θ = 60.41°, I = 175
- 2θ = 69.64°, I = 106
- 2θ = 77.86°, I = 76
- 2θ = 80.82°, I = 102

---

Entry 2:
This entry pairs a crystal structure of Ba3Ga4Ag4 with its theoretical powder diffraction line list. Radiation: Cu Kα (weighted mean of Kα1 and Kα2). Structure: DFT lattice parameters and positions (GGA-PBE).
Neutral-atom scattering factors, no anomalous dispersion.

Crystal structure
```
Ba3Ga4Ag4
1.0
4.6486 0.0000 0.0000
-0.0196 4.7457 0.0000
-2.3204 -2.3640 13.7016
Ba Ga Ag
3 4 4
Direct
0.0000 0.0000 0.0000 Ba
0.1516 0.6518 0.3030 Ba
0.8484 0.3482 0.6970 Ba
0.2508 0.2481 0.4999 Ga
0.3994 0.8992 0.7997 Ga
0.6006 0.1008 0.2003 Ga
0.7492 0.7519 0.5001 Ga
0.3008 0.8003 0.6035 Ag
0.4475 0.4462 0.8937 Ag
0.5525 0.5538 0.1063 Ag
0.6992 0.1997 0.3965 Ag
```

Largest 12 diffraction maxima, low angle first, 15° ≤ 2θ ≤ 90°:
- 2θ = 27.58°, I = 195
- 2θ = 27.69°, I = 193
- 2θ = 29.84°, I = 1000
- 2θ = 29.95°, I = 385
- 2θ = 35.01°, I = 344
- 2θ = 37.92°, I = 369
- 2θ = 38.74°, I = 348
- 2θ = 40.91°, I = 206
- 2θ = 47.35°, I = 153
- 2θ = 48.91°, I = 150
- 2θ = 49.05°, I = 149
- 2θ = 60.86°, I = 122

---

Entry 3:
This entry pairs a crystal structure of Sr2SmS3 with its theoretical powder diffraction line list. Radiation: Cu Kα (weighted mean of Kα1 and Kα2). Structure: DFT lattice parameters and positions (GGA-PBE).
Neutral-atom scattering factors, no anomalous dispersion.

Crystal structure
```
Sr2SmS3
1.0
-2.0767 2.9510 6.2881
2.0767 -2.9510 6.2881
2.0767 2.9510 -6.2881
Sr Sm S
2 1 3
Direct
0.1688 0.1688 0.0000 Sr
0.8312 0.8312 0.0000 Sr
0.5000 0.5000 0.0000 Sm
0.0000 0.5000 0.5000 S
0.3427 0.8427 0.5000 S
0.6573 0.1573 0.5000 S
```

Largest 12 diffraction maxima, low angle first, 15° ≤ 2θ ≤ 90°:
- 2θ = 26.07°, I = 267
- 2θ = 26.24°, I = 261
- 2θ = 30.29°, I = 1000
- 2θ = 43.16°, I = 120
- 2θ = 43.37°, I = 480
- 2θ = 43.58°, I = 119
- 2θ = 51.24°, I = 139
- 2θ = 51.46°, I = 135
- 2θ = 53.63°, I = 128
- 2θ = 53.99°, I = 124
- 2θ = 63.01°, I = 115
- 2θ = 71.49°, I = 211

~~~~~
Evolving to a leadership model that is more facilitative, participatory and co-created, is key to animating the values of diversity, equity and inclusion so many espouse. Below are a few things we can focus on to begin evolving our leadership style to meet the moment:
Foster Inclusion: Creating an inclusive environment where everyone feels valued and respected is important to being a facilitative leader. By avoiding normative processes like the plague (see meetings that are a series of monologues, sitting in board rooms following Robert's Rules of Order, and/or watching slideshows of words and numbers), we increase the opportunity for learners of all types to engage in and express through. By infusing our group time with participatory processes that leverage the power of music, movement, writing and symbolism, we support the sharing of diverse thoughts and perspectives.
Invest In Education: It's important to continually develop your own skills and knowledge, and those of your team. For yourself, seek out opportunities for professional development, experiment with new tools and processes, attend conferences, cultivate mindfulness, invest in related and non-related courses, then read books and articles on leadership and creative processes. For your team, encourage them to share their interests and development goals, and look for ways to support them in achieving their learning objectives.
Be Adaptable: Facilitative leaders need to be adaptable and flexible in their approach. Be willing to adjust your style to meet the needs of your team and the situation at hand. Be open to trying new things and taking calculated risks. Question your assumptions and experiment with different ways of being and doing!
-- Data records, as found in the file --
+++
TcSnP2O8: simulated powder X-ray diffraction pattern (Cu Kα (λ = 1.5418 Å)), based on the PBE geometry in Alexandria.
Intensities are scaled so that the largest is 100.

Crystal structure
a = 8.2275 Å, b = 5.2927 Å, c = 7.4796 Å
α = 90.00°, β = 91.15°, γ = 90.00°
Space group C2/m (No. 12)
Unique sites:
Tc 0.0000 0.0000 0.0000 x2
Sn 0.0000 0.0000 0.5000 x2
P 0.1421 0.5000 0.7820 x4
O 0.0304 0.2591 0.8012 x8
O 0.2119 0.5000 0.5956 x4
O 0.2362 0.0000 0.0590 x4

Peak list (10 most intense, 2θ from 5° to 70°, low angle first)
2θ/deg  d/Å  Rel. int.
19.9  4.451  100
21.6  4.113  61
23.4  3.807  24
31.1  2.878  84
31.4  2.848  69
33.9  2.646  37
36.9  2.435  59
41.8  2.160  32
44.0  2.057  31
53.4  1.716  25

---

Pa2ZnNi5: simulated powder X-ray diffraction pattern (Cu Kα (λ = 1.5418 Å)), based on the PBE geometry in Alexandria.
Intensities are scaled so that the largest is 100.

Crystal structure
a = 5.9833 Å, b = 5.9833 Å, c = 6.9003 Å
α = 90.00°, β = 90.00°, γ = 90.00°
Space group I4mm (No. 107)
Unique sites:
Pa 0.0000 0.5000 0.0000 x4
Zn 0.0000 0.0000 0.1308 x2
Ni 0.0000 0.0000 0.4802 x2
Ni 0.2060 0.2060 0.7575 x8

Peak list (10 most intense, 2θ from 5° to 70°, low angle first)
2θ/deg  d/Å  Rel. int.
21.0  4.231  40
29.9  2.992  26
33.5  2.674  51
39.9  2.260  100
42.7  2.115  46
48.1  1.892  15
50.6  1.803  10
55.4  1.659  18
57.7  1.597  13
62.1  1.496  16

---

Li4PmAg8: simulated powder X-ray diffraction pattern (Cu Kα (λ = 1.5418 Å)), based on the PBE geometry in Alexandria.
Intensities are scaled so that the largest is 100.

Crystal structure
a = 9.4191 Å, b = 9.4191 Å, c = 5.2509 Å
α = 90.00°, β = 90.00°, γ = 90.00°
Space group I4/mmm (No. 139)
Unique sites:
Li 0.2500 0.2500 0.2500 x8
Pm 0.0000 0.0000 0.0000 x2
Ag 0.0000 0.2180 0.5000 x8
Ag 0.0000 0.3488 0.0000 x8

Peak list (10 most intense, 2θ from 5° to 70°, low angle first)
2θ/deg  d/Å  Rel. int.
18.8  4.710  34
26.8  3.330  26
33.2  2.695  46
34.2  2.625  47
38.2  2.355  23
38.5  2.339  100
43.2  2.095  24
43.9  2.062  16
64.0  1.454  21
69.3  1.356  24

---

Na8NO3: simulated powder X-ray diffraction pattern (Cu Kα (λ = 1.5418 Å)), based on the PBE geometry in Alexandria.
Intensities are scaled so that the largest is 100.

Crystal structure
a = 5.6656 Å, b = 5.6656 Å, c = 5.6656 Å
α = 90.00°, β = 90.00°, γ = 90.00°
Space group Pm-3m (No. 221)
Unique sites:
Na 0.2469 0.2469 0.2469 x8
N 0.5000 0.5000 0.5000 x1
O 0.0000 0.0000 0.5000 x3

Peak list (7 most intense, 2θ from 5° to 70°, low angle first)
2θ/deg  d/Å  Rel. int.
15.6  5.666  1
27.3  3.271  20
31.6  2.833  38
45.3  2.003  100
53.7  1.708  5
56.2  1.636  10
66.0  1.416  13

---

CaCrOs: simulated powder X-ray diffraction pattern (Cu Kα (λ = 1.5418 Å)), based on the PBE geometry in Alexandria.
Intensities are scaled so that the largest is 100.

Crystal structure
a = 3.9477 Å, b = 3.9477 Å, c = 4.7553 Å
α = 90.00°, β = 90.00°, γ = 120.00°
Space group P3m1 (No. 156)
Unique sites:
Ca 0.0000 0.0000 0.0000 x1
Cr 0.6667 0.3333 0.4814 x1
+++
Be Accountable: Facilitative Leaders must hold themselves accountable! Set clear goals and objectives, share thee goals with your peers and direct reports, measure progress against those goals, and invite feedback and suggestions from your people on how you can make adjustments and course-correct as needed. Share missteps, own mistakes and make your deficiencies known so your team can help plug the gaps.
Facilitative Leaders rely on participatory processes to generate buy-in, thus engagement and commitment. Teams that are more creative and cohesive are higher performing because they are able to innovate, iterate & fail forward in pursuit of their mission. Organizations that foster and practice cultures where facilitative leadership thrive because they have more cohesive teams, that innovate more rapidly, enjoy higher levels of engagement, and individual team members report above-average levels of job satisfaction.
While we can read all the Harvard Business Review articles, LinkedIn comments and newsletters in the world, the truth is this is not a theoretical subject, but a practical one. Facilitative Leadership can only be learned and animated through practice. This year I am launching a small cohort-based course to support up and coming non-profit leaders evolve and expand their leadership skills.
By adopting a facilitative leadership style, organizations can better navigate the complexities and uncertainties of a VUCA environment and sustain their efforts in the face of mounting uncertainty. I look forward to sharing more thoughts, resources and invitations with you in the months ahead to support us all participate more fully in co-creating the creative and impactful results our society so dearly needs.